Gold Standard Farms is a family-owned, Tennessee-based hemp cultivator with nearly 100 years of history behind it.
While much of the company’s history is rooted in traditional agriculture, including soybean and corn production, Gold Standard Farms CEO Jarrel Howard has launched his family business forward into a new era with hemp cultivation.
After taking over as CEO in 2020, Howard introduced hemp cultivation to his family’s farm, adding a new crop to carry the company forward. Later that year, Gold Standard Farms became the initial strategic partner for Viola’s incubator program, which launched in October 2020.
Now, with Howard in his third year as CEO, he’s certain this was where he was meant to be all along.
“This was my purpose,” Howard says, “to be home and take care of the farm for as long as I can and make sure we get another 80 to 100 years out of it.”
Howard joined Cannabis Business Times for this exclusive interview to share insight on how Gold Standard Farms has evolved over the years, how hemp revolutionized the company, and what the future holds for his family business.
Year founded: 1941 Location: Martin, Tennessee No. of Employees: 6 full-time, 25-35 part-time during harvest Total acreage: 70 acres, with 9,700 square feet of indoor cultivation Your cultivation style in one sentence or less: A better solution
Inserted here: crystal structures.
Diffraction record for RbIn2PdBr8. The X-ray diffraction stick pattern is computed, not measured: it uses a DFT-relaxed cell (PBE, Alexandria) and λ = 1.5418 Å (Cu Kα).
Peak positions follow from Bragg's law for the DFT cell and can differ from measured ones.

Main lines, in order of rising 2θ (10° ≤ 2θ ≤ 90°):
2theta, intensity
18.55, 89.6
25.16, 51.4
25.80, 100.0
27.15, 55.9
30.89, 53.5
31.97, 32.7
36.35, 47.0
42.98, 74.2
45.49, 77.6
52.69, 34.6

Cell and atoms:
Cell lengths 11.3423, 11.3423, 11.3423 Å; angles 35.45, 35.45, 35.45 degrees
Element x y z (fractional)
Rb (0.0000, 0.0000, 0.0000)
In (0.2475, 0.2475, 0.2475)
In (0.7525, 0.7525, 0.7525)
Pd (0.5000, 0.5000, 0.5000)
Br (0.1366, 0.4263, 0.7629)
Br (0.2371, 0.5737, 0.8634)
Br (0.3278, 0.3278, 0.3278)
Br (0.4263, 0.7629, 0.1366)
Br (0.5737, 0.8634, 0.2371)
Br (0.6722, 0.6722, 0.6722)
Br (0.7629, 0.1366, 0.4263)
Br (0.8634, 0.2371, 0.5737)


Diffraction record for CsMo3Br3Cl4. The X-ray diffraction stick pattern is computed, not measured: it uses a DFT-relaxed cell (PBE, Alexandria) and λ = 1.5418 Å (Cu Kα).
Peak positions follow from Bragg's law for the DFT cell and can differ from measured ones.

Main lines, in order of rising 2θ (10° ≤ 2θ ≤ 90°):
2theta, intensity
10.01, 42.5
10.90, 31.3
11.40, 100.0
14.82, 87.9
20.56, 49.6
28.10, 49.1
30.34, 39.7
37.09, 24.3
41.82, 50.4
47.91, 34.2

Cell and atoms:
Cell lengths 10.2058, 10.2058, 16.2316 Å; angles 90.00, 90.00, 120.00 degrees
Element x y z (fractional)
Cs (0.0000, 0.0000, 0.0000)
Cs (0.0000, 0.0000, 0.5000)
Cs (0.3333, 0.6667, 0.2488)
Cs (0.6667, 0.3333, 0.7488)
Mo (0.1834, 0.5186, 0.6836)
Mo (0.1836, 0.6653, 0.8155)
Mo (0.3347, 0.5183, 0.8155)
Mo (0.3353, 0.8166, 0.6836)
Mo (0.4814, 0.6647, 0.6836)
Mo (0.4817, 0.8164, 0.8155)
Mo (0.5183, 0.3347, 0.3155)
Mo (0.5186, 0.1834, 0.1836)
Mo (0.6653, 0.1836, 0.3155)
Mo (0.6647, 0.4814, 0.1836)
Mo (0.8164, 0.4817, 0.3155)
Mo (0.8166, 0.3353, 0.1836)
Br (0.0385, 0.6901, 0.4020)
Br (0.0390, 0.3495, 0.0971)
Br (0.3099, 0.3484, 0.4020)
Br (0.3106, 0.9610, 0.0971)
Br (0.3484, 0.3099, 0.9020)
Br (0.3495, 0.0390, 0.5971)
Br (0.6505, 0.6894, 0.0971)
Br (0.6516, 0.9615, 0.4020)
Br (0.6894, 0.6505, 0.5971)
Br (0.6901, 0.0385, 0.9020)
Br (0.9610, 0.3106, 0.5971)
Br (0.9615, 0.6516, 0.9020)
Cl (0.0537, 0.3826, 0.8136)
Cl (0.0543, 0.6722, 0.6856)
Cl (0.3278, 0.3821, 0.6856)
Cl (0.3289, 0.9463, 0.8136)
Cl (0.3333, 0.6667, 0.5623)
Cl (0.3333, 0.6667, 0.9369)
Cl (0.3821, 0.3278, 0.1856)
Cl (0.3826, 0.0537, 0.3136)
Cl (0.6174, 0.6711, 0.8136)
Cl (0.6179, 0.9457, 0.6856)
Cl (0.6667, 0.3333, 0.0623)
Cl (0.6667, 0.3333, 0.4369)
Cl (0.6711, 0.6174, 0.3136)
Cl (0.6722, 0.0543, 0.1856)
Cl (0.9463, 0.3289, 0.3136)
Cl (0.9457, 0.6179, 0.1856)


Diffraction record for TaNb3Mo3. The X-ray diffraction stick pattern is computed, not measured: it uses a DFT-relaxed cell (PBE, Alexandria) and λ = 1.5418 Å (Cu Kα).
Peak positions follow from Bragg's law for the DFT cell and can differ from measured ones.
The page goes on.
Zach Mentz:What can you tell us about Gold Standard Farms’ cultivation?
Jarrel Howard: It's indoor. We have 100 lights. We got 22 benches, but right now we're only working 10 of them. We're going to do some expansion as we progress, but we are excited about the indoor, and we've got some cool things with some cryo freeze dryers, scientific freeze dryers, traditional trims, CO2 trim, [etc], so it's our laboratory to create those better solutions. We're excited about the progress we've made coming from greenhouse and outdoor to the indoor side of things for hemp.
ZM: Did shifting from outdoor/greenhouse cultivation to indoor give you more control over your environment?
JH: Yes. More control, more quality product. One of the toughest things I tell people all the time when doing an outdoor grow is there's so many things we don't control. We're not going to be able to control the weather, we're not going to be able to control the insects and all of those things nature has provided. So when creating a product that may be ingested in edible form or smoked, we want to make sure we know every single aspect of what's going on. So the indoor [cultivation] for us was a necessity because our mantra is to provide a better solution. So we want to make sure that we have the most organic and cleanest flower, or whatever the product SKU is, and it's documented from seed all the way to sale.
One of the things that I learned from touring with [Viola CEO and Co-Founder] Al [Harrington] was I wanted to take the same standard operating procedures that you might see in a traditional cultivation and implement that for us just to have the staff trained and ready for whenever the state of Tennessee does go legal for cannabis.
ZM:You mentioned Gold Standard Farms’ mantra, “A better solution,” and how you're dedicated to creating those better products. What are the products that Gold Standard Farms offers?
JH: We started off traditionally with white-labeling opportunities for flower, gummies [CBD and CBG] and salves. Those were our main three. Now we're looking to implement a 60/40, where 60% of what we're doing will be on the sustainable side, and then 40% will be inside, whether that's edibles, cartridges pre-rolls, flower, [etc].
ZM: What can you tell us about the history of Gold Standard Farms? I think you've previously mentioned, in the 1930s, there were 10 people in your family working to save up and purchase the land for Gold Standard Farms?
Crystal structures from another source follow:
____________
(1)
Calculated powder diffractogram
Compound: CdCu9
Radiation: Cu Kα (weighted mean of Kα1 and Kα2)
Structure: DFT lattice parameters and positions (GGA-PBE)

Principal peaks in the range 2θ = 10–80°, in order of rising 2θ:
d = 8.352 Å, 2θ = 10.6°, I 13.7; d = 2.272 Å, 2θ = 39.7°, I 10.3; d = 2.160 Å, 2θ = 41.8°, I 44.6; d = 2.079 Å, 2θ = 43.5°, I 100.0; d = 2.056 Å, 2θ = 44.1°, I 50.4; d = 1.907 Å, 2θ = 47.7°, I 29.9; d = 1.834 Å, 2θ = 49.7°, I 34.5; d = 1.712 Å, 2θ = 53.5°, I 26.1; d = 1.274 Å, 2θ = 74.5°, I 14.3; d = 1.252 Å, 2θ = 76.0°, I 17.4

Atomic structure:
```
data_CdCu9
_cell_length_a 2.617
_cell_length_b 3.425
_cell_length_c 33.410
_cell_angle_alpha 90.00
_cell_angle_beta 90.00
_cell_angle_gamma 90.00
_space_group_name_H-M_alt 'P 1'
_space_group_IT_number 1
loop_
_space_group_symop_operation_xyz
'x,y,z'
loop_
_atom_site_label
_atom_site_type_symbol
_atom_site_fract_x
_atom_site_fract_y
_atom_site_fract_z
Cd1 Cd 0.250 0.250 0.111
Cd2 Cd 0.750 0.750 0.889
Cu1 Cu 0.250 0.250 0.206
Cu2 Cu 0.250 0.250 0.284
Cu3 Cu 0.250 0.250 0.362
Cu4 Cu 0.250 0.250 0.441
Cu5 Cu 0.250 0.250 0.520
Cu6 Cu 0.250 0.250 0.599
Cu7 Cu 0.250 0.250 0.677
Cu8 Cu 0.250 0.250 0.755
Cu9 Cu 0.250 0.250 0.834
Cu10 Cu 0.750 0.750 0.166
Cu11 Cu 0.750 0.750 0.245
Cu12 Cu 0.750 0.750 0.323
Cu13 Cu 0.750 0.750 0.401
Cu14 Cu 0.750 0.750 0.480
Cu15 Cu 0.750 0.750 0.559
Cu16 Cu 0.750 0.750 0.638
Cu17 Cu 0.750 0.750 0.716
Cu18 Cu 0.750 0.750 0.794
```

(2)
Calculated powder diffractogram
Compound: PuTl2Cl6
Radiation: Cu Kα (weighted mean of Kα1 and Kα2)
Structure: DFT lattice parameters and positions (GGA-PBE)

Principal peaks in the range 2θ = 10–80°, in order of rising 2θ:
d = 4.937 Å, 2θ = 18.0°, I 100.0; d = 3.780 Å, 2θ = 23.5°, I 79.0; d = 3.491 Å, 2θ = 25.5°, I 21.1; d = 2.565 Å, 2θ = 35.0°, I 81.3; d = 2.469 Å, 2θ = 36.4°, I 23.4; d = 2.208 Å, 2θ = 40.9°, I 19.6; d = 2.067 Å, 2θ = 43.8°, I 28.4; d = 2.046 Å, 2θ = 44.3°, I 19.7; d = 1.779 Å, 2θ = 51.4°, I 18.4; d = 1.585 Å, 2θ = 58.2°, I 17.2

Atomic structure:
```
data_PuTl2Cl6
_cell_length_a 6.983
_cell_length_b 6.983
_cell_length_c 13.487
_cell_angle_alpha 90.00
_cell_angle_beta 90.00
_cell_angle_gamma 90.00
_space_group_name_H-M_alt 'P 1'
_space_group_IT_number 1
loop_
_space_group_symop_operation_xyz
'x,y,z'
loop_
_atom_site_label
_atom_site_type_symbol
_atom_site_fract_x
_atom_site_fract_y
_atom_site_fract_z
Pu1 Pu 0.000 0.000 0.000
Pu2 Pu 0.500 0.500 0.500
Tl1 Tl 0.000 0.000 0.334
Tl2 Tl 0.000 0.000 0.666
Tl3 Tl 0.500 0.500 0.166
Tl4 Tl 0.500 0.500 0.834
Cl1 Cl 0.181 0.181 0.141
Cl2 Cl 0.181 0.181 0.859
Cl3 Cl 0.237 0.237 0.500
Cl4 Cl 0.263 0.737 0.000
Cl5 Cl 0.319 0.681 0.359
Cl6 Cl 0.319 0.681 0.641
Cl7 Cl 0.681 0.319 0.359
Cl8 Cl 0.681 0.319 0.641
Cl9 Cl 0.737 0.263 0.000
Cl10 Cl 0.763 0.763 0.500
Cl11 Cl 0.819 0.819 0.141
Cl12 Cl 0.819 0.819 0.859
```

(3)
Calculated powder diffractogram
Compound: AgSn2Br6
Radiation: Cu Kα (weighted mean of Kα1 and Kα2)
Structure: DFT lattice parameters and positions (GGA-PBE)
____________
So much for the crystal structures:
JH: [They saved] $100 dollars. If you look at that time, a lot was going on. For African Americans, they are about two generations removed from slavery. You have my great-grandfather, who's a sharecropper, so he's making say $100 dollars a year or whatever the case may be. The Great Depression is getting ready to kick off, and then you still have World War II. We are past the roaring 1920s, and we were going into a tough time, as everybody knew. It was even tougher for a person of color at that time. I think [my family’s] biggest thing was to have something in which they could pass down from generation and generation.
My great-grandfather was really big on not accumulating debt; if he couldn't pay for it in cash, he didn't want it. So there were plenty of opportunities where other farmers, once we moved to Martin, would come and try to trick him, “Hey, I know your 50 acres is paid for, but I've got seven acres over here. Why don't you just use your 50 acres for collateral? And you can get this seven acres, and you can get this.” And he was like, no. He was 51 by the time he ever got his first piece of property, so he's not necessarily trying to take chances and gamble it all.
And I think with the kids being able to work – when I say the kids, my grandmother and her siblings – in that environment, the majority of them born in the 1920s and share-cropped with their parents. They had a good understanding of core values, of saying, “Okay, we want to work for ownership, and we just don't want to squander it all and give it away.”
So my family has always been about the business of the farm. Even as siblings started to go their separate ways and escape oppression and the Jim Crow South, what always brought us back was the farm.
Now the role of my family, as elders, is moreso as advisers. You're not going to see my family members out on the tractors anymore. … But having them as advisers, as liaisons throughout this industry and using their relationships that have been cultivated over 80 years has been a great deal for me. Coming into Martin, [Tennessee,] and saying, “Hey, I want to grow a hemp farm,” there was no resistance from the community. I spoke with the mayor about the opportunities of growing hemp and why hemp is important. I spoke with him about how our goal is to create job opportunities and educational opportunities within this small town. … And so having the elders being able to pass down these relationships with other farmers in which we can work with and teach them how to cultivate is immensely important to our journey of what we're trying to do.
ZM: How did you learn the ropes of being CEO of Gold Standard Farms?
JH: In 2018, when the Farm Bill passed, I learned about it, and that was the first real conversation with my family about the elders getting older and wanting to find someone to take over. And it was still going to be strictly like soybeans and corn until we really found out how the hemp industry was going to take off.
In 2019, I did a year of R&D myself, and I went to present everything to the family. That's when my aunt was saying, “okay, I'm going to train you up as a CEO and show you what I've been doing for the last 50 years.” That was just a history lesson within itself. So in 2019 I got the CEO-in-waiting title of the family. In 2020 once we signed with Viola, they were like, “Hey, we're retiring. We're going to Florida. You got it now.” …
I just embraced it. You spend your time thinking that you're going to do something else growing up; I thought I was going to be a baseball player or sports agent. I did sports management for a minute, and I wasn’t fulfilled. But once I got into this space and learned the family history even more than I had, I just felt like I was the perfect person for it, and this was my purpose to be home and take care of the farm for as long as I can and make sure we get another 80 to 100 years out of it.
ZM: What was it like having to assume the role of CEO of your family company in 2020 of all years?
JH: It was tough because, for the most part, all of the things that we had planned for 2020 – we were going to go to this conference all of that was shut down. So then you have to worry about sales. How am I going to sell this product that a person can't touch, feel, or see? So it was tough, but for me, I was used to operating at home from [previously working in] the sports world. For any other company that was founded in 2020, it gave us an even playing field in a place where I felt like I can execute from operating at home and selling.
I think the biggest part was just labor. People were getting sick, outbreaks. We had one, we had to shut our indoor facility down for like three weeks and scrap everything that was in there and do deep sanitation and cleaning. It was trying.
But I'll tell you one thing, my great-aunt told me this, she said, "If you can get past this, you'll be fine.” That was my biggest thing – I was moreso worried about the elders in my family and keeping them safe and not having them around on the farm. So I think that was probably the most trying thing, the lack of time spent with the elders and also making sure that they're safe and out of harm's way with all of this stuff going on.
So for me, as tough as this industry can be, I wear a badge of honor that we're still in business because a lot of companies folded. So our thing is just piece by piece, staying afloat and understanding when to pivot and when not to pivot. I think that's where you start to see the hemp block come in. With that oversaturated market of hemp or CBD products, we wanted to pivot into still providing a better solution, but this time on the sustainable side. And I think that eliminates a lot of the tough years or tough trials that we might have seen in 2020 and parts of 2021.
ZM: What is the biggest challenge in maintaining a hemp cultivation?
JH: The financial aspect, the cost. You want to do things right; you look at about half-a-million dollars on 20 acres done right. And that's every year if you choose to do it.
That first year was an outdoor year for us and cost us a lot of money. It was in the pandemic. We also had some flooding in certain areas because it was a crazy rain, it rained for about eight days. You have to have capital if you're going to do it on a large scale. But then you have to also have people who understand the process of cultivation, that are in-tune with certain diseases that the plants may have or may not. So it's an educational component in a space that's relatively new now. With hemp and people acquiring licenses, we don’t want to treat it like a hobby; it's a business.
One of the main things with cultivation is having growers and geneticists that actually know what they're doing that can identify certain things with the plant and can solve problems. And in small town USA, that's tough. But we've got a great group of growers and geneticists that have a true passion for it, and they're able to teach my friends and family that work with me about the plant. And we all have a true passion.
So I guess it would be financially, you have to have money to play in any game, especially in this one, to compete. So that comes with a variety of different things, whether it's marketing after you cultivate. We still have to market these products, we still have to meet with smoke shops and do little sessions for them to try it out and quality control. So it's a financial responsibility that can turn into a financial reward, but emphasis on the responsibility. You have to have capital to play.
Our biggest thing is making sure that we always stay afloat to take care of Gold Standard, and from there, Gold Standard will take care of us, but you have to make sure that the baby is always provided for.